-- Assignment --
Your job: restate all of the contents underneath with every line break kept.

-- Data --
/*
No. 1
Density functional theory data (ωB97M-V/def2-TZVPD) for a cluster of 5 separate species, C14H41N7O5 in total.

Results
Multiplicity = 1
Calculated total energy = -35847.5520 eV
Kohn-Sham gap = 9.4 eV
LUMO = 0.42 eV

Element x y z (Å)
C -1.16512 0.42414 -0.40671
O -1.53310 1.56507 -0.45031
N 0.04785 -0.05383 -0.80069
N -1.82837 -0.53929 0.33829
H 0.63992 0.39649 -1.48389
H 0.18965 -1.04842 -0.69680
H -1.54329 -1.50622 0.40052
H -2.43588 -0.22297 1.08057
C -4.20474 6.71256 0.43379
O -4.50332 7.54415 1.23717
N -3.05455 6.50075 -0.03832
N -5.05056 5.97295 -0.25680
H -2.80303 5.56621 -0.32725
H -2.41466 7.20206 0.30635
H -6.02816 5.80845 -0.06358
H -4.54668 5.41987 -0.93526
C 4.49603 0.35324 -3.69869
C 4.68764 1.66987 -2.99453
C 6.09852 2.33898 -3.24161
O 7.06122 1.88876 -2.35806
C 6.90617 2.01677 -1.00119
N 3.60366 2.54290 -3.52863
H 3.45616 0.02773 -3.67022
H 5.09836 -0.39080 -3.17746
H 4.69834 0.50544 -4.75889
H 4.47957 1.42132 -1.95384
H 6.05297 3.42644 -3.18297
H 6.62611 2.27653 -4.19338
H 6.50610 1.11527 -0.53712
H 6.21871 2.85762 -0.90916
H 7.83894 2.21159 -0.47198
H 3.58585 3.42004 -3.02822
H 3.86653 2.71945 -4.48771
C 3.70952 -4.22497 0.04270
C 2.92374 -4.92465 -0.97717
C 3.22007 -6.40689 -1.38226
O 2.93441 -6.65699 -2.72701
C 2.98078 -8.04768 -2.91885
N 1.47824 -4.80545 -0.61696
H 4.15894 -4.92555 0.74648
H 3.11324 -3.62441 0.72963
H 4.44568 -3.58612 -0.44521
H 3.04287 -4.36841 -1.90696
H 2.84904 -7.09208 -0.62006
H 4.30984 -6.38747 -1.39412
H 3.96388 -8.39047 -2.59618
H 2.80789 -8.28035 -3.96960
H 2.21463 -8.62886 -2.40569
H 1.56078 -5.25251 0.28493
H 0.90617 -5.32054 -1.27082
C -7.62436 0.48681 4.83581
C -6.86807 0.96185 3.45277
C -5.39287 1.47105 3.68877
O -5.28910 2.44196 4.68597
C -3.94360 2.64254 5.19437
N -6.87691 -0.08942 2.51124
H -7.06719 -0.34629 5.26429
H -8.69457 0.33263 4.69806
H -7.49110 1.35830 5.47679
H -7.39137 1.73634 2.89201
H -4.93186 1.77495 2.74896
H -4.87890 0.69997 4.26265
H -3.24772 2.74371 4.36153
H -3.40521 1.93009 5.81940
H -3.89739 3.52402 5.83385
H -7.28180 -0.92435 2.91005
H -7.38426 0.03608 1.64699

No. 2
Density functional theory data (ωB97M-V/def2-TZVPD) for a cluster of 12 separate species, C36H96O44P8 in total.

Results
Multiplicity = 1
Calculated total energy = -203307.5035 eV
Kohn-Sham gap = 9.8 eV
LUMO = 0.27 eV

Element x y z (Å)
C 4.14028 4.06363 0.55873
O 3.50207 5.27616 1.01771
P 2.06911 5.12876 1.64861
O 1.12262 4.23414 0.97368
O 2.46455 4.67570 3.10659
C 1.38786 4.41407 4.01551
O 1.53099 6.60312 1.78622
C 1.39174 7.37808 0.58148
H 3.48077 3.60324 -0.16692
H 4.34414 3.36939 1.37515
H 5.09672 4.34393 0.12871
H 1.66527 4.71964 5.02042
H 1.07626 3.37583 3.90517
H 0.52574 5.05426 3.80636
H 0.83973 8.26414 0.86850
H 0.86811 6.79887 -0.18259
H 2.37428 7.59873 0.16397
C -0.45368 2.94472 -5.86674
O 0.81765 2.60938 -6.42508
P 1.32961 1.09234 -6.48612
O 2.76224 1.00607 -6.23317
O 0.77321 0.60553 -7.89250
C 1.51337 0.84350 -9.09456
O 0.36950 0.32437 -5.48857
C 0.91677 -0.71350 -4.64224
H -0.63852 2.55356 -4.87336
H -1.24978 2.68711 -6.57318
H -0.46132 4.03152 -5.86207
H 1.24929 1.75505 -9.63310
H 1.22093 0.01436 -9.73810
H 2.58082 0.84259 -8.88031
H 0.59316 -1.68185 -5.02350
H 0.47262 -0.53635 -3.66493
H 1.99974 -0.63370 -4.59778
C 5.93894 1.46613 -1.34535
O 4.72671 2.05771 -1.83147
P 4.06728 1.46563 -3.15472
O 4.88021 1.49648 -4.34518
O 3.67424 -0.00670 -2.69267
C 2.77787 -0.18764 -1.61852
O 2.67601 2.21899 -3.26069
C 2.41675 3.49249 -2.66298
H 5.68502 0.56552 -0.79224
H 6.39980 2.18691 -0.67646
H 6.58546 1.22633 -2.18994
H 2.67429 0.66078 -0.94240
H 3.12533 -1.05075 -1.04467
H 1.75373 -0.47695 -1.86928
H 3.33765 3.96478 -2.31997
H 1.82824 3.35914 -1.74880
H 1.88342 4.11768 -3.37219
C 0.83381 -6.25867 1.73329
O 1.18406 -6.62708 0.38760
P 1.52609 -5.52142 -0.68933
O 2.44512 -4.46244 -0.28638
O 2.05107 -6.48860 -1.83236
C 2.05216 -5.95788 -3.15652
O 0.09844 -5.10168 -1.25939
C -0.21987 -3.75225 -1.70445
H 0.97675 -5.19321 1.92270
H 1.46996 -6.79660 2.42764
*/

-- Written answer --
No. 1
Density functional theory data (ωB97M-V/def2-TZVPD) for a cluster of 5 separate species, C14H41N7O5 in total.

Results
Multiplicity = 1
Calculated total energy = -35847.5520 eV
Kohn-Sham gap = 9.4 eV
LUMO = 0.42 eV

Element x y z (Å)
C -1.16512 0.42414 -0.40671
O -1.53310 1.56507 -0.45031
N 0.04785 -0.05383 -0.80069
N -1.82837 -0.53929 0.33829
H 0.63992 0.39649 -1.48389
H 0.18965 -1.04842 -0.69680
H -1.54329 -1.50622 0.40052
H -2.43588 -0.22297 1.08057
C -4.20474 6.71256 0.43379
O -4.50332 7.54415 1.23717
N -3.05455 6.50075 -0.03832
N -5.05056 5.97295 -0.25680
H -2.80303 5.56621 -0.32725
H -2.41466 7.20206 0.30635
H -6.02816 5.80845 -0.06358
H -4.54668 5.41987 -0.93526
C 4.49603 0.35324 -3.69869
C 4.68764 1.66987 -2.99453
C 6.09852 2.33898 -3.24161
O 7.06122 1.88876 -2.35806
C 6.90617 2.01677 -1.00119
N 3.60366 2.54290 -3.52863
H 3.45616 0.02773 -3.67022
H 5.09836 -0.39080 -3.17746
H 4.69834 0.50544 -4.75889
H 4.47957 1.42132 -1.95384
H 6.05297 3.42644 -3.18297
H 6.62611 2.27653 -4.19338
H 6.50610 1.11527 -0.53712
H 6.21871 2.85762 -0.90916
H 7.83894 2.21159 -0.47198
H 3.58585 3.42004 -3.02822
H 3.86653 2.71945 -4.48771
C 3.70952 -4.22497 0.04270
C 2.92374 -4.92465 -0.97717
C 3.22007 -6.40689 -1.38226
O 2.93441 -6.65699 -2.72701
C 2.98078 -8.04768 -2.91885
N 1.47824 -4.80545 -0.61696
H 4.15894 -4.92555 0.74648
H 3.11324 -3.62441 0.72963
H 4.44568 -3.58612 -0.44521
H 3.04287 -4.36841 -1.90696
H 2.84904 -7.09208 -0.62006
H 4.30984 -6.38747 -1.39412
H 3.96388 -8.39047 -2.59618
H 2.80789 -8.28035 -3.96960
H 2.21463 -8.62886 -2.40569
H 1.56078 -5.25251 0.28493
H 0.90617 -5.32054 -1.27082
C -7.62436 0.48681 4.83581
C -6.86807 0.96185 3.45277
C -5.39287 1.47105 3.68877
O -5.28910 2.44196 4.68597
C -3.94360 2.64254 5.19437
N -6.87691 -0.08942 2.51124
H -7.06719 -0.34629 5.26429
H -8.69457 0.33263 4.69806
H -7.49110 1.35830 5.47679
H -7.39137 1.73634 2.89201
H -4.93186 1.77495 2.74896
H -4.87890 0.69997 4.26265
H -3.24772 2.74371 4.36153
H -3.40521 1.93009 5.81940
H -3.89739 3.52402 5.83385
H -7.28180 -0.92435 2.91005
H -7.38426 0.03608 1.64699

No. 2
Density functional theory data (ωB97M-V/def2-TZVPD) for a cluster of 12 separate species, C36H96O44P8 in total.

Results
Multiplicity = 1
Calculated total energy = -203307.5035 eV
Kohn-Sham gap = 9.8 eV
LUMO = 0.27 eV

Element x y z (Å)
C 4.14028 4.06363 0.55873
O 3.50207 5.27616 1.01771
P 2.06911 5.12876 1.64861
O 1.12262 4.23414 0.97368
O 2.46455 4.67570 3.10659
C 1.38786 4.41407 4.01551
O 1.53099 6.60312 1.78622
C 1.39174 7.37808 0.58148
H 3.48077 3.60324 -0.16692
H 4.34414 3.36939 1.37515
H 5.09672 4.34393 0.12871
H 1.66527 4.71964 5.02042
H 1.07626 3.37583 3.90517
H 0.52574 5.05426 3.80636
H 0.83973 8.26414 0.86850
H 0.86811 6.79887 -0.18259
H 2.37428 7.59873 0.16397
C -0.45368 2.94472 -5.86674
O 0.81765 2.60938 -6.42508
P 1.32961 1.09234 -6.48612
O 2.76224 1.00607 -6.23317
O 0.77321 0.60553 -7.89250
C 1.51337 0.84350 -9.09456
O 0.36950 0.32437 -5.48857
C 0.91677 -0.71350 -4.64224
H -0.63852 2.55356 -4.87336
H -1.24978 2.68711 -6.57318
H -0.46132 4.03152 -5.86207
H 1.24929 1.75505 -9.63310
H 1.22093 0.01436 -9.73810
H 2.58082 0.84259 -8.88031
H 0.59316 -1.68185 -5.02350
H 0.47262 -0.53635 -3.66493
H 1.99974 -0.63370 -4.59778
C 5.93894 1.46613 -1.34535
O 4.72671 2.05771 -1.83147
P 4.06728 1.46563 -3.15472
O 4.88021 1.49648 -4.34518
O 3.67424 -0.00670 -2.69267
C 2.77787 -0.18764 -1.61852
O 2.67601 2.21899 -3.26069
C 2.41675 3.49249 -2.66298
H 5.68502 0.56552 -0.79224
H 6.39980 2.18691 -0.67646
H 6.58546 1.22633 -2.18994
H 2.67429 0.66078 -0.94240
H 3.12533 -1.05075 -1.04467
H 1.75373 -0.47695 -1.86928
H 3.33765 3.96478 -2.31997
H 1.82824 3.35914 -1.74880
H 1.88342 4.11768 -3.37219
C 0.83381 -6.25867 1.73329
O 1.18406 -6.62708 0.38760
P 1.52609 -5.52142 -0.68933
O 2.44512 -4.46244 -0.28638
O 2.05107 -6.48860 -1.83236
C 2.05216 -5.95788 -3.15652
O 0.09844 -5.10168 -1.25939
C -0.21987 -3.75225 -1.70445
H 0.97675 -5.19321 1.92270
H 1.46996 -6.79660 2.42764